What to do:
Your job: give back the part of the entries below that starts with the line with "0.5377" and stops after the one with "0.8531 0.1469".

Entries:
********
! Na2Fe3S4 PBE relaxed; values from VASP
! **V**: 155.5 Å³ per cell
! **DFT formation energy**: -0.759 eV per atom
! **Uncorrected energy**: -0.4036 Ry/atom
&SYSTEM
  ibrav = 0, nat = 9, ntyp = 3
/
ATOMIC_SPECIES
Na 22.99 Na.upf
Fe 55.84 Fe.upf
S 32.06 S.upf
ATOMIC_POSITIONS crystal
Na 0.5081 0.5081 0.4943
Na 0.0015 0.0015 0.9984
Fe 0.6926 0.6926 0.9704
Fe 0.8066 0.8066 0.5242
Fe 0.3043 0.3043 0.0390
S 0.1409 0.1409 0.1812
S 0.6458 0.6458 0.7006
S 0.8551 0.8551 0.8006
S 0.3541 0.3541 0.3171
CELL_PARAMETERS angstrom
-5.2372 -5.5085 -0.1132
-3.9001 -5.6819 3.2077
-5.8018 1.6960 2.4245

=====

! Na3Fe2S4 PBE relaxed; values from VASP
! **V**: 748.5 Å³ per cell
! **DFT formation energy**: -0.858 eV per atom
! **Uncorrected energy**: -0.3525 Ry/atom
&SYSTEM
  ibrav = 0, nat = 36, ntyp = 3
/
ATOMIC_SPECIES
Na 22.99 Na.upf
Fe 55.84 Fe.upf
S 32.06 S.upf
ATOMIC_POSITIONS crystal
Na 0.0821 0.2500 0.7651
Na 0.5821 0.2500 0.7349
Na 0.9179 0.7500 0.2349
Na 0.4179 0.7500 0.2651
Na 0.0431 0.4151 0.1436
Na 0.5431 0.0849 0.3564
Na 0.9569 0.9151 0.8564
Na 0.4569 0.5849 0.6436
Na 0.9569 0.5849 0.8564
Na 0.4569 0.9151 0.6436
Na 0.0431 0.0849 0.1436
Na 0.5431 0.4151 0.3564
Fe 0.0460 0.3741 0.4711
Fe 0.5460 0.1259 0.0289
Fe 0.9540 0.8741 0.5289
Fe 0.4540 0.6259 0.9711
Fe 0.9540 0.6259 0.5289
Fe 0.4540 0.8741 0.9711
Fe 0.0460 0.1259 0.4711
Fe 0.5460 0.3741 0.0289
S 0.1653 0.5519 0.3772
S 0.6653 0.9481 0.1228
S 0.8347 0.0519 0.6228
S 0.3347 0.4481 0.8772
S 0.8347 0.4481 0.6228
S 0.3347 0.0519 0.8772
S 0.1653 0.9481 0.3772
S 0.6653 0.5519 0.1228
S 0.3050 0.2500 0.5377
S 0.8050 0.2500 0.9623
S 0.6950 0.7500 0.4623
S 0.1950 0.7500 0.0377
S 0.3766 0.2500 0.1647
S 0.8766 0.2500 0.3353
S 0.6234 0.7500 0.8353
S 0.1234 0.7500 0.6647
CELL_PARAMETERS angstrom
6.6631 0.0000 0.0000
0.0000 10.4986 0.0000
0.0000 0.0000 10.6999

=====

! Na6FeS4 PBE relaxed; values from VASP
! **V**: 481.6 Å³ per cell
! **DFT formation energy**: -1.099 eV per atom
! **Uncorrected energy**: -0.2875 Ry/atom
&SYSTEM
  ibrav = 0, nat = 22, ntyp = 3
/
ATOMIC_SPECIES
Na 22.99 Na.upf
Fe 55.84 Fe.upf
S 32.06 S.upf
ATOMIC_POSITIONS crystal
Na 0.1469 0.8531 0.5394
Na 0.2937 0.1469 0.0394
Na 0.8531 0.7063 0.0394
Na 0.1469 0.2937 0.5394
Na 0.7063 0.8531 0.5394
Na 0.8531 0.1469 0.0394
Na 0.5317 0.4683 0.3687
Na 0.0634 0.5317 0.8687
Na 0.4683 0.9366 0.8687
Na 0.5317 0.0634 0.3687
Na 0.9366 0.4683 0.3687
Na 0.4683 0.5317 0.8687
Fe 0.6667 0.3333 0.7529
Fe 0.3333 0.6667 0.2529
S 0.8109 0.1891 0.6459
S 0.6218 0.8109 0.1459
S 0.3333 0.6667 0.5920
S 0.6667 0.3333 0.0920
S 0.1891 0.8109 0.1459
S 0.3782 0.1891 0.6459
S 0.8109 0.6218 0.6459
S 0.1891 0.3782 0.1459
CELL_PARAMETERS angstrom
4.4733 -7.7480 0.0000
4.4733 7.7480 0.0000
0.0000 0.0000 6.9474

=====

! Na3FeSe3 PBE relaxed; values from VASP
! **V**: 704.6 Å³ per cell
! **DFT formation energy**: -0.992 eV per atom
! **Uncorrected energy**: -0.2988 Ry/atom
&SYSTEM
  ibrav = 0, nat = 28, ntyp = 3
/
ATOMIC_SPECIES
Na 22.99 Na.upf
Fe 55.84 Fe.upf
Se 78.96 Se.upf
ATOMIC_POSITIONS crystal
Na 0.0172 0.1246 0.5930
Na 0.5172 0.8754 0.9070
Na 0.4828 0.1246 0.0930
Na 0.9828 0.8754 0.4070
Na 0.0001 0.4960 0.2764
Na 0.5001 0.5040 0.2236
Na 0.9999 0.5040 0.7236
Na 0.5167 0.0487 0.6138
Na 0.9833 0.0487 0.1138
Na 0.4833 0.9513 0.3862
Na 0.0167 0.9513 0.8862
Na 0.4999 0.4960 0.7764
Fe 0.6201 0.5004 0.4259
Fe 0.3799 0.4996 0.5741
Fe 0.1201 0.4996 0.0741
Fe 0.8799 0.5004 0.9259
Se 0.2165 0.2008 0.2255
Se 0.2887 0.4877 0.4236
Se 0.2113 0.4877 0.9236
Se 0.7113 0.5123 0.5764
Se 0.7887 0.5123 0.0764
Se 0.7165 0.7992 0.2745
Se 0.7835 0.7992 0.7745
Se 0.2835 0.2008 0.7255
Se 0.7423 0.2043 0.4270
Se 0.2423 0.7957 0.0730
Se 0.2577 0.7957 0.5730
Se 0.7577 0.2043 0.9270
CELL_PARAMETERS angstrom
7.2321 0.0000 0.0000
0.0000 7.4813 0.0000
0.0000 7.1682 13.0226

=====

! Nb19Fe20 PBE relaxed; values from VASP
! **V**: 566.8 Å³ per cell
! **DFT formation energy**: -0.108 eV per atom
! **Uncorrected energy**: -0.6889 Ry/atom
&SYSTEM
  ibrav = 0, nat = 39, ntyp = 2
/
ATOMIC_SPECIES
********

Result:
S 0.3050 0.2500 0.5377
S 0.8050 0.2500 0.9623
S 0.6950 0.7500 0.4623
S 0.1950 0.7500 0.0377
S 0.3766 0.2500 0.1647
S 0.8766 0.2500 0.3353
S 0.6234 0.7500 0.8353
S 0.1234 0.7500 0.6647
CELL_PARAMETERS angstrom
6.6631 0.0000 0.0000
0.0000 10.4986 0.0000
0.0000 0.0000 10.6999

=====

! Na6FeS4 PBE relaxed; values from VASP
! **V**: 481.6 Å³ per cell
! **DFT formation energy**: -1.099 eV per atom
! **Uncorrected energy**: -0.2875 Ry/atom
&SYSTEM
  ibrav = 0, nat = 22, ntyp = 3
/
ATOMIC_SPECIES
Na 22.99 Na.upf
Fe 55.84 Fe.upf
S 32.06 S.upf
ATOMIC_POSITIONS crystal
Na 0.1469 0.8531 0.5394
Na 0.2937 0.1469 0.0394
Na 0.8531 0.7063 0.0394
Na 0.1469 0.2937 0.5394
Na 0.7063 0.8531 0.5394
Na 0.8531 0.1469 0.0394